[Input]
-- begin --
# Pm2VO6

A relaxed Pm2VO6 crystal (GGA+U, Alexandria).

Computed properties:
D(E_F) = 6.52 states/eV/cell
VASP energy = -7.761 eV per atom

Cell and atoms, written as POSCAR:
```
Pm2VO6
1.0
-5.1397 1.3489 -1.1343
-1.9744 -5.1468 2.8256
0.4158 3.4147 6.5101
Pm O V
4 12 2
Cartesian
-2.4459 0.9685 1.3963 Pm
-5.4050 1.7936 4.9388 Pm
-1.2933 -2.1768 3.2626 Pm
-4.2524 -1.3517 6.8051 Pm
-2.6190 0.2526 6.0992 O
-3.7040 2.0853 3.1944 O
-6.1864 -2.8389 3.4071 O
-3.3319 2.8581 5.9891 O
-5.6459 -0.6446 4.7823 O
-2.9943 -2.4685 5.0070 O
-0.5119 2.4557 4.7943 O
-3.3664 -3.2413 2.2124 O
-1.0524 0.2614 3.4192 O
-1.7522 -1.3658 1.0936 O
-4.0793 -0.6358 2.1023 O
-4.9461 0.9826 7.1078 O
0.2079 1.7073 3.2551 V
-3.5570 -1.8989 0.8456 V
```


Entry from the Alexandria database: MnF3 after structural relaxation (PBE+U).

Geometry as CIF:
```
data_MnF3
_cell_length_a 8.5701
_cell_length_b 8.5701
_cell_length_c 4.6876
_cell_angle_alpha 90.00
_cell_angle_beta 90.00
_cell_angle_gamma 120.00
_symmetry_space_group_name_H-M 'P 3 2 1'
_symmetry_Int_Tables_number 150
loop_
_symmetry_equiv_pos_as_xyz
'x,y,z'
'-y,x-y,z'
'-x+y,-x,z'
'y,x,-z'
'x-y,-y,-z'
'-x,-x+y,-z'
loop_
_atom_site_label
_atom_site_type_symbol
_atom_site_fract_x
_atom_site_fract_y
_atom_site_fract_z
Mn1 Mn 0.0000 0.3320 0.0000
Mn2 Mn 0.0000 0.6635 0.5000
F1 F 0.0963 0.5549 0.2596
F2 F 0.1145 0.8745 0.2635
F3 F 0.2031 0.4308 0.7719
```

The electronic total energy is -5.6845 eV/atom.
-- stop --
[Wanted]
Search the material above for the word "The" and reproduce each line that has it.
[Worked solution]
The electronic total energy is -5.6845 eV/atom.